During our lifetime, we will need to tackle several big goals.
Crystal structures, as found in the file:
┌──
# 1
# Nd12Ho5Tm2, relaxed, DFT PBE
# crystal system = monoclinic
# E_form = 0.0998 eV/atom
# N(E_F) = 1.426 states/eV/atom
data_Nd12Ho5Tm2
_cell_length_a 17.946
_cell_length_b 11.740
_cell_length_c 6.233
_cell_angle_alpha 90.00
_cell_angle_beta 102.39
_cell_angle_gamma 90.00
_space_group_name_H-M_alt 'C 1 2/m 1'
_space_group_IT_number 12
_space_group_name_Hall '-C 2y'
loop_
_atom_site_label
_atom_site_type_symbol
_atom_site_fract_x
_atom_site_fract_y
_atom_site_fract_z
_atom_site_occupancy
Nd1 Nd 0.056 0.000 0.274 1
Nd2 Nd 0.104 0.252 0.617 1
Nd3 Nd 0.119 0.500 0.005 1
Nd4 Nd 0.196 0.242 0.198 1
Ho1 Ho 0.000 0.500 0.500 1
Ho2 Ho 0.178 0.000 0.859 1
Ho3 Ho 0.217 0.500 0.557 1
Tm1 Tm 0.000 0.267 0.000 1

***

# 2
# Pu2Cu3Ir, relaxed, DFT PBE
# crystal system = monoclinic
# E_form = -0.2219 eV/atom
# N(E_F) = 2.767 states/eV/atom
data_Pu2Cu3Ir
_cell_length_a 8.917
_cell_length_b 5.158
_cell_length_c 5.351
_cell_angle_alpha 90.00
_cell_angle_beta 123.76
_cell_angle_gamma 90.00
_space_group_name_H-M_alt 'C 1 2/m 1'
_space_group_IT_number 12
_space_group_name_Hall '-C 2y'
loop_
_atom_site_label
_atom_site_type_symbol
_atom_site_fract_x
_atom_site_fract_y
_atom_site_fract_z
_atom_site_occupancy
Pu1 Pu 0.129 0.000 0.387 1
Cu1 Cu 0.000 0.500 0.000 1
Cu2 Cu 0.250 0.250 0.000 1
Ir1 Ir 0.000 0.500 0.500 1

***

# 3
# LaYSi2, relaxed, DFT PBE
# crystal system = tetragonal
# energy relative to the elements, uncorrected = -486 meV per atom
# N(E_F) = 0.737 states/eV/atom
data_LaYSi2
_cell_length_a 3.381
_cell_length_b 3.381
_cell_length_c 8.109
_cell_angle_alpha 90.00
_cell_angle_beta 90.00
_cell_angle_gamma 90.00
_space_group_name_H-M_alt 'P 4/m m m'
_space_group_IT_number 123
_space_group_name_Hall '-P 4 2'
loop_
_atom_site_label
_atom_site_type_symbol
_atom_site_fract_x
_atom_site_fract_y
_atom_site_fract_z
_atom_site_occupancy
La1 La 0.000 0.000 0.000 1
Y1 Y 0.000 0.000 0.500 1
Si1 Si 0.500 0.500 0.261 1

***

# 4
# Ag4PtW, relaxed, DFT PBE
# crystal system = cubic
# E_form = 0.7565 eV/atom
# N(E_F) = 1.083 states/eV/atom
data_Ag4PtW
_cell_length_a 7.480
_cell_length_b 7.480
_cell_length_c 7.480
_cell_angle_alpha 90.00
_cell_angle_beta 90.00
_cell_angle_gamma 90.00
_space_group_name_H-M_alt 'F -4 3 m'
_space_group_IT_number 216
_space_group_name_Hall 'F -4 2 3'
loop_
_atom_site_label
_atom_site_type_symbol
_atom_site_fract_x
_atom_site_fract_y
_atom_site_fract_z
_atom_site_occupancy
Ag1 Ag 0.125 0.125 0.125 1
Pt1 Pt 0.250 0.250 0.750 1
W1 W 0.000 0.000 0.500 1

***

# 5
# AcLaPr3Nd, relaxed, DFT PBE
# crystal system = monoclinic
# E_form = 0.1749 eV/atom
# N(E_F) = 1.422 states/eV/atom
data_AcLaPr3Nd
_cell_length_a 21.068
_cell_length_b 5.974
_cell_length_c 7.232
_cell_angle_alpha 90.00
_cell_angle_beta 90.95
_cell_angle_gamma 90.00
_space_group_name_H-M_alt 'C 1 2/m 1'
_space_group_IT_number 12
_space_group_name_Hall '-C 2y'
loop_
_atom_site_label
_atom_site_type_symbol
_atom_site_fract_x
_atom_site_fract_y
_atom_site_fract_z
_atom_site_occupancy
└──
These can sometimes seem so overwhelming that we can’t face getting started, so we procrastinate.
The next time you have a challenging or large goal to conquer, try taking these 6 steps to improve your motivation so you can achieve the goal easier.

- Determine your WHY – Without a strong why there’s very little to get inspired about.
When the going gets tough, we need to be able to look back at the important reason why we are spending our time and effort trying to accomplish this goal.
Understanding and reviewing your why makes it easier to stay motivated to keep moving forward.
- Determine your WHY – Without a strong why there’s very little to get inspired about.

- Focus on one goal at a time – Too often we try to take on too much at once.
When we do this, it’s hard to keep up with all the various action steps for each goal, so we end up running ourselves ragged and often just give up in exhaustion.
Decide what the most important goal is for you right now and take that one on first. When you’ve achieved that, start again with the next one. - Break large goals into small steps – Becoming overwhelmed is one of the biggest obstacles we have to overcome when attempting to complete a major goal in our lives.
When we bite off more than we can chew, we get tired of all the struggling to make things happen.
One excellent way to make sure this doesn’t happen is to break down the goal into smaller chunks.
Then, break down each step into one action step. Then, each day, focus on getting at least one of those mini-steps completed. Good bye, overwhelm! - Start small – It’s human nature to want to jump in with both feet when we decide to take on a major goal.
But when we do, we end up wearing ourselves out and frequently give up all too soon.
As mentioned above, focus on taking one small step each and every day. Instead of promising to go to the gym to work out for an hour every single day, try taking a brisk 15 minute walk every day.
That’s easier to fit into any schedule, and you are much more likely to do it. Which makes you feel successful. Feeling successful leads to more motivation. - Celebrate each small victory – Once you’ve completed a few days in a row or a week of small steps towards your goal, celebrate yourself and your dedication to your objective.
You can celebrate in small or big ways. You might take yourself out for a nice, healthy dinner or take a 30 minute Netflix break.
It doesn’t matter what it is, as long as it feels like a celebration to you.